Wanted >
Count the lines below that contain the word "total_charge" and give the number alone.
Excerpt >
-- begin --
62
Properties=species:S:1:pos:R:3:forces:R:3:mulliken_charge:R:1 method="wB97M-V/def2-TZVPD" homo_ha=-0.367 spin_multiplicity=1 total_charge=+1 total_energy_ha=-1418.76447 max_force_ev_per_a=2.693
H -4.274 1.535 -4.313 -0.38 -0.57 0.04 0.338
H -6.063 -0.421 1.609 0.09 0.00 -0.20 0.303
O -6.427 -0.589 2.478 0.18 0.09 0.15 -0.631
C -7.390 3.137 -3.945 0.03 -0.90 0.08 -1.141
C -6.040 2.506 -3.456 -0.46 2.25 0.56 0.552
O 0.114 1.348 1.627 0.69 -2.55 -0.50 -0.514
H -5.943 1.168 -5.106 0.37 -0.46 0.38 0.343
H 0.695 -1.381 -4.298 0.25 0.20 -0.07 0.304
H 0.039 -1.862 0.467 -0.05 0.07 -0.39 0.373
H 2.938 -5.192 -0.161 -0.09 0.09 -0.23 0.308
H 2.380 -1.098 0.900 -0.39 -0.31 0.66 0.351
O 3.244 -5.812 0.501 0.19 -0.09 -0.03 -0.624
H 3.764 1.136 -4.641 0.32 -0.10 0.14 0.324
H 2.757 0.469 1.606 -0.46 0.09 0.30 0.335
O 2.948 1.274 -5.122 -0.37 -0.10 0.09 -0.629
C -5.249 1.879 -4.658 0.64 0.54 -0.90 -1.127
H -7.258 4.122 -4.393 0.00 0.08 0.57 0.321
C 2.023 -0.075 1.012 1.40 0.13 -1.43 -1.244
H -1.011 -7.123 -1.392 0.10 -0.23 0.12 0.321
O 0.030 -2.036 -4.511 -0.19 0.06 -0.11 -0.629
H -6.227 1.619 -2.850 0.04 -0.29 0.43 0.198
H 0.106 4.566 -3.452 0.08 0.22 -0.19 0.321
H 8.803 2.683 2.068 0.22 0.00 0.14 0.324
O 8.012 2.857 1.556 -0.23 0.16 0.06 -0.647
H 1.023 -1.657 8.101 0.05 -0.17 0.21 0.319
O -0.546 -4.352 4.395 0.17 -0.11 -0.22 -0.629
O 0.642 -1.087 7.434 -0.26 -0.03 -0.19 -0.622
H -7.978 2.564 -4.662 0.64 -0.47 -0.40 0.377
H 0.137 3.055 -3.354 0.08 -0.34 -0.10 0.306
Y -2.144 5.020 0.299 0.16 -0.32 -0.23 0.997
O 6.899 0.154 -3.270 -0.20 0.25 -0.08 -0.644
H -0.341 -0.379 -0.553 0.19 -0.29 -0.12 0.302
H -5.033 2.580 -5.464 -0.19 0.51 0.29 0.325
O -1.158 -6.252 -1.761 0.12 0.27 0.02 -0.639
O -5.300 3.438 -2.764 -0.61 -1.66 -1.15 -0.449
H 1.818 3.564 4.702 -0.11 -0.09 -0.20 0.307
C 0.546 0.035 1.388 -0.93 1.72 -0.94 0.655
H 7.373 -2.433 0.693 0.11 -0.27 -0.02 0.316
O 7.153 -1.501 0.668 0.00 0.24 -0.23 -0.617
H 7.201 -0.485 -3.916 0.11 -0.14 -0.20 0.324
C -0.338 -0.840 0.435 0.23 1.05 1.36 -1.058
H 2.861 -5.498 1.320 -0.12 0.00 0.27 0.316
H -2.447 -0.002 6.836 0.21 -0.19 0.18 0.324
O -0.032 3.844 -2.838 -0.28 0.21 0.48 -0.607
H -2.692 0.944 5.680 0.07 0.07 -0.18 0.297
H 1.338 -0.464 7.224 0.15 0.21 -0.04 0.310
H 6.901 -0.325 -2.441 0.03 -0.12 0.32 0.315
H 3.098 3.532 5.510 0.28 -0.03 0.04 0.323
H -7.336 -0.839 2.312 -0.27 -0.09 0.03 0.327
H -8.056 3.053 -3.086 0.08 0.97 0.26 0.309
H -1.363 -0.832 0.805 -0.02 -0.07 -0.03 0.275
H 6.586 -1.368 1.428 -0.12 0.06 0.21 0.310
H -0.085 -2.533 -3.701 -0.05 -0.24 0.17 0.319
H 0.658 -0.469 2.348 -0.63 -0.20 1.15 0.141
H -0.619 -4.343 5.349 0.00 -0.03 0.27 0.321
H -1.995 -6.324 -2.219 -0.20 -0.01 -0.14 0.319
H 2.160 0.252 -0.019 -0.21 0.59 -0.17 0.314
H 3.028 2.158 -5.482 0.06 0.19 -0.17 0.310
H 7.972 2.137 0.926 0.00 -0.19 -0.21 0.322
O 2.200 3.865 5.526 -0.16 0.10 0.13 -0.629
H -1.042 -3.585 4.109 -0.16 0.16 -0.06 0.308
O -3.058 0.664 6.519 -0.22 0.11 0.02 -0.626

71
Properties=species:S:1:pos:R:3:forces:R:3:mulliken_charge:R:1 method="wB97M-V/def2-TZVPD" homo_ha=-0.386 spin_multiplicity=1 total_energy_ha=-2361.40399 max_force_ev_per_a=1.340
O -1.523 -2.294 0.097 -0.73 -0.10 0.08 -0.322
H -0.333 -2.757 1.754 0.26 -0.18 -0.43 0.062
H -4.696 -1.622 2.505 -0.19 0.09 0.07 0.399
H 6.363 6.859 -3.027 0.02 -0.04 -0.04 0.299
O 5.704 7.163 -3.657 -0.06 0.05 -0.08 -0.643
O 0.871 0.075 2.678 -0.02 -0.30 0.13 -0.541
O -1.725 -0.279 5.006 0.01 0.04 0.20 -0.584
H -1.012 2.464 -2.096 0.05 0.03 0.20 0.356
O 3.794 3.253 -1.751 -0.04 -0.09 0.05 -0.590
H -2.193 -0.336 1.841 -0.04 -0.08 -0.28 0.303
H -2.242 3.262 0.389 0.03 -0.11 0.01 0.312
H 0.961 3.693 -2.414 0.15 0.14 0.08 0.285
H -0.572 -2.395 -2.894 -0.04 0.08 -0.06 0.295
H 1.526 1.538 5.590 -0.08 0.02 -0.07 0.310
H -0.470 2.105 1.454 0.36 0.17 0.32 0.503
S -2.926 -2.879 0.613 0.09 -1.02 -0.86 1.037
H 1.495 0.060 5.949 -0.05 -0.03 -0.05 0.314
H -2.623 4.242 1.504 -0.03 -0.04 0.04 0.274
C 1.478 -1.621 0.271 0.30 -0.20 -0.33 0.359
H 3.513 4.179 -1.773 0.01 0.04 0.11 0.326
-- stop --
Completed >
1